HARTFORD, August 20 -- The Department of Consumer Protection has issued an administrative complaint for alleged violations of the Connecticut Unfair Trade Practices Act against Christopher C. Shuckra of Hartford, and two companies he has operated in Connecticut and nationwide, the Department announced today.
The complaint alleges that Shuckra, doing business as Innovative Sentencing Solutions, LLC and Parole Advocates, offered parole and correctional advocacy services to prison inmates and their families in Connecticut and around the United States. Advertised services included, but were not limited to pardon and clemency petitions, and advocacy at parole hearings. As Innovative Sentencing Solutions, Shuckra entered into contracts that promised full refunds if specific results were not achieved and often instructed clients to make payment directly to him. On at least one business website, Shuckra listed Innovative Sentencing Solutions in the “Lawyers” section, although neither he nor his companies are licensed to perform legal services in Connecticut. Parole Advocates is Shuckra’s newest business venture. The complaint further alleges that while they took money from prisoners and their family, Shuckra and his businesses did not provide any services or make any refunds.
“If these allegations prove true, Mr. Shuckra and his companies victimized inmates’ wives, mothers, children and family members, stealing not only their money but their hopes of reuniting their families,” Consumer Protection Commissioner William M. Rubenstein said today.“Shuckra’s clients often struggled greatly to pay his fees, which ranged from $500 to $2500, for which it appears that no services were delivered, and no full or partial refunds were ever provided.”
“These alleged contrived services merely prey upon offenders and their loved ones," said Commissioner Leo C. Arnone, Commissioner of the Connecticut Department of Correction. "Many of the issues for which assistance was offered for a fee, such as obtaining a facility transfer, resolution of facility issues and parole hearing advocacy are matters that an inmate and his or her family could address for free with the department and typically are not open to outside influence.”
____________
Record 1
Entry from Materials Project: an optimized crystal structure of Na2MgZr3P4S2O24 (PBE).

Results
The raw total energy comes out at -7.3889 eV/atom. The symmetry is P1, No. 1. The formation energy is -2.887 eV/atom.

The structure in POSCAR format:
```
Na2MgZr3P4S2O24
1.0
8.8551 0.0000 0.0000
4.4223 7.6723 0.0000
0.0123 0.0084 23.3608
Na Mg Zr P S O
6 3 9 12 6 72
Direct
0.0000 0.0000 0.0000 Na
0.0051 0.0012 0.4958 Na
0.3282 0.3343 0.3407 Na
0.3369 0.3419 0.8330 Na
0.6657 0.6731 0.6656 Na
0.6723 0.6723 0.1730 Na
0.3308 0.3435 0.6844 Mg
0.9974 0.0118 0.3576 Mg
0.9981 0.0004 0.8572 Mg
0.3259 0.3406 0.4868 Zr
0.3296 0.3371 0.1919 Zr
0.3368 0.3423 0.9847 Zr
0.6569 0.6814 0.8185 Zr
0.6593 0.6838 0.0244 Zr
0.6622 0.6845 0.5243 Zr
0.6733 0.6810 0.3195 Zr
0.9903 0.0146 0.1522 Zr
0.9980 0.0073 0.6477 Zr
0.0397 0.3463 0.5908 P
0.0419 0.6324 0.0877 P
0.3282 0.0526 0.0875 P
0.3357 0.6264 0.5899 P
0.3664 0.6820 0.9207 P
0.3661 0.9681 0.4204 P
0.6159 0.0560 0.5905 P
0.6215 0.3441 0.0883 P
0.6701 0.9686 0.9204 P
0.7102 0.0112 0.2572 P
0.9604 0.6811 0.4215 P
0.9957 0.2967 0.2574 P
0.0040 0.7136 0.7560 S
0.2830 0.0167 0.7560 S
0.2875 0.7195 0.2560 S
0.6671 0.3817 0.4208 S
0.7062 0.2958 0.7564 S
0.9555 0.3803 0.9203 S
0.0211 0.1798 0.5965 O
0.0210 0.8000 0.8068 O
0.0235 0.8136 0.0941 O
0.0246 0.1869 0.3094 O
0.1200 0.3727 0.6437 O
0.1285 0.5214 0.1410 O
0.1293 0.3673 0.9257 O
0.1409 0.5128 0.4271 O
0.1511 0.3153 0.5359 O
0.1530 0.5442 0.0338 O
0.1556 0.3244 0.2480 O
0.1560 0.5394 0.7494 O
0.1683 0.0306 0.0942 O
0.1704 0.8132 0.5959 O
0.1816 0.0314 0.8071 O
0.1837 0.7986 0.3065 O
0.1877 0.9874 0.4153 O
0.1906 0.8438 0.9143 O
0.2043 0.9873 0.7040 O
0.2080 0.8227 0.2028 O
0.3054 0.1630 0.0338 O
0.3062 0.5451 0.5354 O
0.3083 0.1670 0.7496 O
0.3083 0.5421 0.2483 O
0.3527 0.5141 0.9262 O
0.3551 0.1376 0.1409 O
0.3583 0.1469 0.4266 O
0.3610 0.5223 0.6435 O
0.4612 0.8559 0.4739 O
0.4633 0.6965 0.9739 O
0.4629 0.8520 0.7606 O
0.4655 0.6976 0.2601 O
0.4843 0.8758 0.3675 O
0.4861 0.6512 0.8674 O
0.4933 0.8705 0.0817 O
0.4945 0.6527 0.5806 O
0.4990 0.1467 0.9263 O
0.5069 0.3676 0.4263 O
0.5107 0.1342 0.6438 O
0.5108 0.3683 0.1414 O
0.5251 0.1727 0.2479 O
0.5310 0.3198 0.7500 O
0.5358 0.1639 0.5355 O
0.5360 0.3177 0.0342 O
0.6417 0.4908 0.3692 O
0.6435 0.5048 0.0806 O
0.6432 0.8695 0.5821 O
0.6441 0.8754 0.8675 O
0.6857 0.4685 0.4725 O
0.6857 0.8479 0.2598 O
0.6900 0.8553 0.9738 O
0.6915 0.4747 0.7614 O
0.7933 0.1929 0.8073 O
0.7949 0.0328 0.3094 O
0.8028 0.0330 0.5959 O
0.8030 0.1798 0.0934 O
0.8138 0.2159 0.7041 O
0.8184 0.9840 0.2014 O
0.8217 0.2097 0.4156 O
0.8281 0.9893 0.9141 O
0.8302 0.4811 0.2607 O
0.8411 0.6977 0.7615 O
0.8473 0.6955 0.4742 O
0.8505 0.4654 0.9721 O
0.8552 0.5037 0.5807 O
0.8602 0.6504 0.0805 O
0.8711 0.4923 0.8691 O
0.8734 0.6498 0.3677 O
0.9735 0.2085 0.9134 O
0.9744 0.8430 0.4153 O
0.9755 0.2108 0.2015 O
0.9745 0.8228 0.7040 O
```


Record 2
Entry from Materials Project: an optimized crystal structure of Na7MgSc3P6O24 (PBE).

Results
____________
Christopher C. Shuckra is required to appear at a hearing before Commissioner Rubenstein at the Department of Consumer Protection office in Hartford on September 14th, 2012 at 10 a.m. where cease and desist and restitution orders will be considered.
“Anyone considering hiring an advocate for any purpose should first be sure that the person is properly licensed, check to see if any complaints have been filed against the person or their company, and try to get reviews from past clients,” Rubenstein said. For persons involved in the Corrections system, he encouraged consumers to seek the services of reliable, well-established experts, including community-based non-profit groups, attorneys, or the Corrections system personnel.
The page is interrupted by records of crystals:
********
# LiCuF3 PBE optimized geometry
# corrected total energy (MP2020 scheme): -4.630 eV per atom
# relative energy among the computed polymorphs: 61 meV/atom
# total energy: -4.353 eV/atom
# energy of formation from the pure elements: -2.2797 eV/atom
# V: 56.7 Å³/f.u.
data_LiCuF3
_chemical_formula_sum 'Li8 Cu8 F24'
_space_group_name_H-M_alt 'A m m 2'
_space_group_IT_number 38
_cell_length_a 8.761
_cell_length_b 6.995
_cell_length_c 7.400
_cell_angle_alpha 90.00
_cell_angle_beta 90.00
_cell_angle_gamma 90.00
loop_
_space_group_symop_operation_xyz
'x,y,z'
'-x,-y,z'
'-x,y,z'
'x,-y,z'
'x,y+1/2,z+1/2'
'-x,-y+1/2,z+1/2'
'-x,y+1/2,z+1/2'
'x,-y+1/2,z+1/2'
loop_
_atom_site_label
_atom_site_type_symbol
_atom_site_fract_x
_atom_site_fract_y
_atom_site_fract_z
_atom_site_occupancy
Li1 Li 0.000 0.000 0.000 1
Li2 Li 0.000 0.214 0.740 1
Li3 Li 0.500 0.000 0.463 1
Cu1 Cu 0.184 0.000 0.474 1
Cu2 Cu 0.332 0.000 0.990 1
F1 F 0.000 0.188 0.482 1
F2 F 0.150 0.000 0.803 1
F3 F 0.159 0.000 0.169 1
F4 F 0.331 0.196 0.483 1
F5 F 0.500 0.000 0.171 1
F6 F 0.500 0.000 0.823 1

* * * * *

No. 1
First-principles (GGA+U) data for a geometry-optimized CrP4O12 structure, as listed in the Materials Project database.

Cell: 7.017 7.017 9.493 Å, 91.47 91.47 108.84°
Element x y z (fractional)
Cr1 0.108 0.892 0.750
Cr2 0.892 0.108 0.250
P1 0.202 0.277 0.529
P2 0.276 0.633 0.967
P3 0.277 0.202 0.029
P4 0.367 0.724 0.533
P5 0.633 0.276 0.467
P6 0.723 0.798 0.971
P7 0.724 0.367 0.033
P8 0.798 0.723 0.471
O1 0.069 0.282 0.403
O2 0.115 0.138 0.645
O3 0.129 0.657 0.854
O4 0.138 0.115 0.145
O5 0.231 0.395 0.970
O6 0.266 0.729 0.107
O7 0.271 0.734 0.393
O8 0.282 0.069 0.903
O9 0.293 0.500 0.598
O10 0.343 0.871 0.646
O11 0.395 0.231 0.470
O12 0.500 0.293 0.098
O13 0.500 0.707 0.902
O14 0.605 0.769 0.530
O15 0.657 0.129 0.354
O16 0.707 0.500 0.402
O17 0.718 0.931 0.097
O18 0.729 0.266 0.607
O19 0.734 0.271 0.893
O20 0.769 0.605 0.030
O21 0.862 0.885 0.855
O22 0.871 0.343 0.146
O23 0.885 0.862 0.355
O24 0.931 0.718 0.597

Excess energy over the best structure of this formula in the dataset, meV/atom: 29
E_form, eV/atom: -2.42

=====

No. 2
First-principles (GGA+U) data for a geometry-optimized Cr9P8O32 structure, as listed in the Materials Project database.

Cell: 8.652 8.827 9.180 Å, 103.25 110.02 100.13°
Element x y z (fractional)
Cr1 0.000 0.000 0.000
Cr2 0.000 0.500 0.500
Cr3 0.194 0.202 0.443
Cr4 0.204 0.328 0.968
Cr5 0.377 0.710 0.937
Cr6 0.500 0.000 0.500
Cr7 0.623 0.290 0.063
Cr8 0.796 0.672 0.032
Cr9 0.806 0.798 0.557
P1 0.026 0.335 0.221
P2 0.114 0.837 0.403
P3 0.374 0.064 0.161
P4 0.464 0.381 0.797
P5 0.536 0.619 0.203
P6 0.626 0.936 0.839
P7 0.886 0.163 0.597
P8 0.974 0.665 0.779
O1 0.000 0.190 0.777
O2 0.000 0.810 0.223
O3 0.006 0.725 0.470
O4 0.015 0.152 0.210
O5 0.057 0.379 0.083
O6 0.134 0.619 0.760
O7 0.153 0.017 0.506
O8 0.168 0.426 0.400
O9 0.234 0.132 0.056
O10 0.290 0.808 0.428
O11 0.327 0.879 0.082
O12 0.341 0.567 0.083
O13 0.360 0.097 0.332
O14 0.387 0.279 0.891
********
So much for the records of crystals:
The Department of Consumer Protection advises consumers to be especially wary when, after enlisting services from a company, they are directed to make payment directly to an individual, or employee of that company.
********
Record 1
{
  "formula": "CuC4O8",
  "functional": "PBE-GGA",
  "state": "relaxed",
  "final_energy_ev_per_atom": -7.079,
  "formation_energy_mev_per_atom": -1302,
  "magmom_total_mub_per_cell": 2.0,
  "lattice": [[8.434, 0.000, 0.000], [0.000, 8.281, 0.000], [0.000, 3.417, 7.753]],
  "species": ["O", "C", "C", "Cu", "O", "C", "O", "O", "O", "Cu", "O", "C", "O", "O", "O", "O", "O", "O", "C", "C", "C", "O", "C", "O", "O", "O"],
  "fractional_positions": [[0.927, 0.442, 0.250], [0.799, 0.460, 0.308], [0.089, 0.027, 0.181], [0.000, 0.500, 0.000], [0.599, 0.124, 0.230], [0.589, 0.973, 0.319], [0.078, 0.178, 0.091], [0.578, 0.822, 0.409], [0.231, 0.549, 0.062], [0.500, 0.500, 0.500], [0.769, 0.451, 0.938], [0.201, 0.540, 0.692], [0.073, 0.558, 0.750], [0.731, 0.451, 0.438], [0.573, 0.442, 0.750], [0.422, 0.178, 0.591], [0.901, 0.124, 0.730], [0.427, 0.558, 0.250], [0.701, 0.460, 0.808], [0.411, 0.027, 0.681], [0.911, 0.973, 0.819], [0.922, 0.822, 0.909], [0.299, 0.540, 0.192], [0.099, 0.876, 0.270], [0.269, 0.549, 0.562], [0.401, 0.876, 0.770]]
}

---

Record 2
{
  "formula": "Cs2CuBr4",
  "functional": "PBE-GGA",
  "state": "relaxed",
  "final_energy_ev_per_atom": -2.958,
  "formation_energy_mev_per_atom": -1486,
  "lattice": [[0.000, -8.216, 0.000], [-10.426, 0.000, 0.000], [0.000, 0.000, -13.128]],
  "species": ["Br", "Cs", "Cu", "Br", "Br", "Br", "Br", "Br", "Cu", "Cs", "Cs", "Cs", "Cu", "Br", "Br", "Br", "Br", "Cs", "Cs", "Br", "Cu", "Br", "Br", "Br", "Cs", "Cs", "Br", "Br"],
  "fractional_positions": [[0.750, 0.657, 0.422], [0.750, 0.374, 0.604], [0.250, 0.731, 0.083], [0.750, 0.157, 0.078], [0.250, 0.004, 0.381], [0.486, 0.706, 0.643], [0.986, 0.794, 0.143], [0.514, 0.794, 0.143], [0.750, 0.769, 0.583], [0.250, 0.126, 0.104], [0.250, 0.004, 0.669], [0.750, 0.996, 0.331], [0.750, 0.269, 0.917], [0.014, 0.206, 0.857], [0.014, 0.706, 0.643], [0.250, 0.504, 0.119], [0.250, 0.843, 0.922], [0.750, 0.496, 0.169], [0.750, 0.874, 0.896], [0.750, 0.996, 0.619], [0.250, 0.231, 0.417], [0.514, 0.294, 0.357], [0.986, 0.294, 0.357], [0.750, 0.496, 0.881], [0.250, 0.504, 0.831], [0.250, 0.626, 0.396], [0.486, 0.206, 0.857], [0.250, 0.343, 0.578]]
}

---

Record 3
{
  "formula": "Eu3Ge13Os4",
  "functional": "PBE-GGA",
  "state": "relaxed",
  "final_energy_ev_per_atom": -7.041,
  "formation_energy_mev_per_atom": -252,
  "magmom_total_mub_per_cell": 39.8,
  "lattice": [[9.183, 0.000, 0.000], [0.000, 9.183, 0.000], [0.000, 0.000, 9.183]],
  "species": ["Ge", "Ge", "Ge", "Os", "Os", "Ge", "Ge", "Ge", "Os", "Ge", "Ge", "Ge", "Os", "Eu", "Ge", "Ge", "Ge", "Ge", "Ge", "Os", "Ge", "Eu", "Os", "Ge", "Os", "Ge", "Ge", "Eu", "Ge", "Ge", "Ge", "Eu", "Eu", "Ge", "Ge", "Os", "Ge", "Eu", "Ge", "Ge"],
********
Persons who believe they may have been scammed by Mr. Shuckra or either of his companies, – Innovative Sentencing Solutions, LLC or Parole Advocates, may contact the Department of Consumer Protection at 860-713-6085 or by email at dcp.legal@ct.gov.
Media Contact: Claudette Carveth